You're Not Ready to Read This...

by on Dec 19, 2014

I'm telling you, you're not ready to read this. You're already failing by reading this description. Leave now and no harm will come to you. If you continue on, I can't be held responsible for what might happen to your brain...

_Data records that have nothing to do with the article_
[1]
2 unconnected molecules or ions with the total composition C4H9OP at a distorted geometry, computed with ωB97M-V/def2-TZVPD.

```
15
Properties=species:S:1:pos:R:3:lowdin_charge:R:1
C -0.487 2.338 -1.391 -0.131
C -0.818 1.902 -0.225 -0.068
C 0.006 -1.584 -1.035 -0.221
C 0.901 -0.634 1.686 -0.225
O -1.590 -1.524 1.241 -0.412
P -0.506 -0.761 0.566 0.696
H -0.389 3.325 -1.699 0.020
H 0.113 1.538 -2.006 0.077
H -1.004 2.353 0.684 -0.017
H 0.984 -1.006 -1.389 0.086
H 0.121 -2.592 -0.615 0.034
H -0.811 -1.608 -1.761 0.037
H 1.732 -1.347 1.508 0.062
H 1.151 0.368 1.675 -0.012
H 0.596 -0.768 2.761 0.073
```

Output
* ΔE to the lowest compared entry with this formula, charge and spin: 3.0716 eV
* LUMO (alpha / beta): -0.1742 / -0.1719 eV
* HOMO-LUMO gap (alpha / beta): 8.1 / 8.1 eV
* multiplicity: 1
* total energy: -15626.5628 eV

---

[2]
2 unconnected molecules or ions with the total composition C6H12O, computed with ωB97M-V/def2-TZVPD.

```
19
Properties=species:S:1:pos:R:3:lowdin_charge:R:1
C 2.226 -0.159 0.939 -0.112
C 1.651 -0.564 -0.418 -0.243
C 0.372 0.182 -0.752 -0.268
C -0.700 -0.434 -1.600 0.033
C -0.949 -0.397 -0.328 -0.254
C -1.749 -0.760 0.862 -0.035
H 3.139 -0.720 1.165 0.068
H 1.505 -0.351 1.743 0.069
H 2.474 0.909 0.964 0.071
H 1.413 -1.637 -0.413 0.112
H 2.402 -0.408 -1.205 0.106
H 0.488 1.276 -0.779 0.115
H -0.966 -0.768 -2.591 0.101
H -2.695 -1.229 0.579 0.083
H -1.959 0.127 1.467 0.079
H -1.177 -1.463 1.481 0.084
O -2.174 2.283 -0.256 -0.056
H -2.010 1.604 -0.923 0.014
H -1.292 2.509 0.063 0.034
```

Output
* ΔE to the lowest compared entry with this formula, charge and spin: 2.5460 eV
* LUMO: 0.9800 eV
* HOMO-LUMO gap: 10.3 eV
* SMILES: CC[C@H]1C=C1C.O
* multiplicity: 1
* total energy: -8461.8079 eV

---

[3]
A single C4H13N3 molecule at a distorted geometry, computed with ωB97M-V/def2-TZVPD.

```
20
Properties=species:S:1:pos:R:3:lowdin_charge:R:1
N 2.218 -1.653 -0.163 -0.024
C 0.879 -1.841 -0.827 -0.250
C -0.249 -1.287 0.040 -0.189
C -0.235 0.236 0.066 -0.399
N -0.810 0.683 -1.242 0.031
C -0.988 1.073 1.186 -0.258
N -1.009 2.494 0.875 -0.016
H 2.418 -0.661 -0.121 0.036
H 2.141 -1.834 0.833 0.052
H 0.990 -1.249 -1.738 0.104
H 0.817 -2.920 -0.958 0.103
H -0.171 -1.673 1.068 0.113
H -1.202 -1.539 -0.431 0.110
H 0.771 0.655 0.214 0.112
H -0.129 0.987 -1.931 0.068
H -1.440 1.461 -1.096 0.051
H -0.545 0.731 2.124 0.111
H -1.987 0.657 1.029 0.107
H -0.124 2.699 0.396 0.070
H -0.805 3.012 1.729 0.070
```

Output
* ΔE to the lowest compared entry with this formula, charge and spin: 1.0905 eV
* LUMO: 0.8888 eV
* HOMO-LUMO gap: 10.1 eV
* SMILES: NCC[C@@H](N)CN
* multiplicity: 1
* total energy: -8828.3221 eV

---

[4]
A single CH2N2O molecule at a distorted geometry, computed with ωB97M-V/def2-TZVPD.

```
6
Properties=species:S:1:pos:R:3:lowdin_charge:R:1
O 1.284 2.334 -1.300 -0.194
C 0.603 0.977 -0.832 -0.261
N -0.399 0.061 -1.010 0.119
N 0.927 -0.233 -0.427 0.107
H -1.042 0.207 -0.281 0.088
H 1.219 -0.744 0.388 0.141
```

Output

In a recent article I wrote on another site, I went into detail about an element of Landmark's latest update called "Linking & Triggering". I still can't get it out of my head. The parallels to Minecraft are compelling, but the most important aspect is the improvements upon that retro-styled game's best mechanic. Even more mind-boggling, this is going to take place in a socially-themed MMO.

Right away I'd just like to note that Minecraft is technically an MMO... There are a bunch of private servers out there that are simple massive, with thousands of players logged in simultaneously - which isn't much smaller than most triple-A MMORPGs average server population. The primary difference between Minecraft and more stereotypical MMO models is its ability to function as a single player game - even offline.

[Next to the article, the page also holds records of molecules]
........
# 1
# C19H18CuN4S4

C19H18CuN4S4 as an isolated structure (wB97M-V/def2-TZVPD, the Open Molecules 2025 dataset).

Each line ends with the natural charge from an NBO analysis.
Atoms and positions in Å:
Cu  0.5922  2.1904  1.4988  0.713
C  1.0892  4.8945  -0.4204  -0.629
C  0.7632  5.1045  1.0250  0.097
C  0.5970  6.3094  1.6782  -0.349
C  0.3288  6.0015  3.0380  -0.363
C  0.3456  4.6262  3.1358  0.096
C  0.1407  3.7873  4.3595  -0.628
N  0.6144  4.0657  1.9139  -0.701
H  1.1971  5.8632  -0.9112  0.201
H  0.3055  4.3353  -0.9370  0.206
H  2.0165  4.3301  -0.5442  0.210
H  0.6642  7.2899  1.2260  0.188
H  0.1503  6.6972  3.8475  0.189
H  0.2860  4.3935  5.2555  0.202
H  0.8456  2.9525  4.3827  0.208
H  -0.8681  3.3621  4.4064  0.196
S  0.5900  0.2418  2.7410  -0.270
C  -0.3084  -0.9186  1.9114  0.085
N  -1.3291  -0.5280  1.1002  -0.512
C  -2.1003  -1.3827  0.3921  0.075
C  -1.9099  -2.7232  0.4841  -0.293
C  -0.8546  -3.1944  1.2948  -0.135
C  -0.0807  -2.3137  1.9956  -0.264
H  -1.3847  0.4690  0.9181  0.454
H  -2.8567  -0.9393  -0.2389  0.222
H  -2.5192  -3.4059  -0.0892  0.230
H  -0.6387  -4.2549  1.3293  0.224
H  0.7590  -2.6415  2.5911  0.242
S  3.2022  -3.5912  -1.1062  -0.235
C  2.1659  -2.2996  -1.2624  -0.120
S  2.4997  -0.7916  -0.4723  0.417
C  0.9813  -0.0953  -1.0804  -0.110
N  0.3411  -0.9471  -1.8138  -0.363
N  0.9858  -2.1712  -1.9331  -0.272
C  0.2600  -3.1437  -2.6908  0.227
C  -0.9698  -2.7578  -3.2426  -0.256
C  -1.7370  -3.6637  -3.9536  -0.202
C  -1.2992  -4.9674  -4.1454  -0.239
C  -0.0804  -5.3465  -3.6123  -0.206
C  0.7006  -4.4516  -2.8903  -0.268
S  0.4866  1.5014  -0.7713  -0.393
H  -1.3111  -1.7461  -3.0994  0.253
H  -2.6882  -3.3424  -4.3603  0.206
H  -1.8970  -5.6699  -4.7141  0.205
H  0.2800  -6.3589  -3.7494  0.208
H  1.6449  -4.7694  -2.4866  0.257

Forces on the atoms, in the same order (eV/Å):
0.05 -0.27 -0.15
-0.07 -0.07 0.17
0.00 0.09 0.17
-0.02 -0.04 -0.07
-0.02 0.01 0.03
0.11 0.01 0.07
-0.09 0.02 -0.12
-0.06 0.26 -0.09
0.02 -0.03 -0.02
0.00 0.01 -0.06
0.01 0.01 -0.06
0.02 -0.03 0.01
0.02 -0.04 -0.02
0.01 -0.03 0.02
-0.01 0.02 0.05
0.04 -0.04 0.00
0.12 -0.05 0.15
0.02 0.34 0.06
0.05 -0.32 -0.12
-0.08 0.01 -0.06
0.02 -0.20 -0.05
0.05 0.18 -0.02
0.05 -0.19 -0.08
0.02 0.11 -0.04
0.07 0.08 0.00
-0.01 0.06 -0.02
-0.01 0.02 0.05
-0.03 0.00 0.02
0.14 -0.09 0.04
-0.21 0.07 -0.07
-0.41 0.12 -0.10
0.48 -0.69 0.07
-0.30 -0.02 -0.08
0.14 0.11 0.21
-0.14 0.01 -0.02
0.04 0.01 0.08
0.07 -0.01 0.02
-0.05 -0.02 -0.06
-0.02 0.04 0.02
0.04 0.04 0.03
-0.12 0.40 -0.03
0.00 0.02 0.00
0.02 0.01 -0.01
0.01 0.01 0.05
0.02 0.03 0.00
0.02 0.01 0.03

Calculated values
Energy above the lowest of the compared OMol25 structures with the same formula, charge and spin   3.5 kcal per mole
Largest force on an atom   0.839 eV Å⁻¹
LUMO   0.081 Eh
Charge   -1
HOMO-LUMO gap   0.2169 Ha

# 2
# C56H56CoN4O4P2

C56H56CoN4O4P2 as an isolated structure at a distorted geometry (wB97M-V/def2-TZVPD, the Open Molecules 2025 dataset).
........

Given all that, I believe it's safe to say that Landmark is essentially a reimagining of Minecraft with a big publisher budget and intimate knowledge of MMO production. Sony Online Entertainment has been a major publisher in this genre, exclusively producing games for it since the original EverQuest. I look at the Landmark endeavor as a surprise game that popped up out of the advanced development goals of EverQuest Next.

At some point during the planning and big-wig meetings for developing EQNext's dynamic core systems, somebody realized that providing these tools to players in the form of a game was not only possible, but potentially lucrative. If you consider that Minecraft has millions of accounts and active players - a majority of which probably play it online or are playing it in private servers with friends, the potential is definitely there.

Before the coming update (that should go live sometime today or early tomorrow morning), I wouldn't have believed Landmark had as much potential as Minecraft, but now I finally do. Even with the restrictions of not being able to fully mod and edit the code and not being able to play online - Landmark offers everything else that Minecraft does, and even improves on all that - mechanically and graphically.

It's worth noting that Landmark still won't see major growth in its population until after Open Beta is released, but I believe we've definitely reached a tipping point. Very soon, the flood gates will open, and after that - who knows what's going to happen? Your guess is as good as mine, maybe. ;)

Linking & Triggering and beyond

Linking & Triggering is hands down the most intriguing tool any MMO player and sandbox enthusiast will get their hands on prior to EverQuest Next, followed closely by the soon to come Storybricks AI. In yesterday's article I referenced the Minecraft Redstone system as a starting point for understanding the concepts of Linking and Triggering, but that's just the tip of the iceberg.

Landmark's L&T comes with all of the benefits of Redstone system mechanics, but with very few of its drawbacks. The doors are literally wide open for players to create unique and interesting environments for other players to experience, right now. Even with the very basic features Landmark currently has in place, players are already able to sculpt a large chunk of the world and start assigning behaviors and triggers to nearly everything a player will potentially come in contact with.

Landmark already has more interactive props and crafted items than Minecraft, and the ability to edit voxels in much more detailed ways both combine to make the current potential much greater than this game's retro counterpart... and they're just getting started.

Eventually we'll get our hands on Storybricks AI as well as the "Dungeon Mastering" toolset that will allow for enhanced and detailed permission systems which will govern what happens to players interacting with all of your custom triggers, NPCs, and environment. Nevermind that the entire world is also destructible and editable. I honestly don't think most people can wrap their head around what that means for this game.

Landmark will be the first true MMO sandbox game to hit the market since late 90's MUDs - which had little to no graphical eye candy - a feature Landmark offers in bulk. For fans of the creative freedom provided by old school table-top RPGs, this game will answer the bell. Aside from creating custom races and monsters (which would require creating, rigging and animating), core systems are going to eventually exist that allow us to create just about anything else we'll need for customizing our campaigns and the world around us.

There will be very few limitations, especially as we move forward and the development team creates a more expansive database of props, textures, and AI components (animations, traits, behaviors, etc.) Eventually, the only limit may very well be our imaginations, which by now might be fairly rusty and limited; what with all the atrophy they've experienced from being forced through one linear experience after another.

I'm not even sure the majority of us are actually ready for something like this. Will any of us even understand what to do with it initially? Has the linear grind of traidtional "MMOs" warped the way we play games to the point that a true sandbox experience like Landmark has a lesser appeal? I hope not. It's the next step to a real and believable virtual reality, which is why I've previously coined Landmark and EverQuest Next with the acronym MMVR (Massive Multiplayer Virtual Realm), because they're not just MMOs anymore - they're starting to become something much much greater.

Are you ready for the future?

I don't think any of us truly are, but that doesn't mean it shouldn't arrive. We need this game, more than most of us currently realize. We're about to experience a whole new dimension of MMOs that most people have never seen or even imagined before. It's a thrilling thought, and an exciting experience waiting just on the horizon.

This isn't the same load of crap game developers have been feeding us for the past several years by labeling their new linear MMOs as "next gen", when really they've just been the same model that's been done for years, reskinned with a handful of innovative sub-systems. None of them have been truly different at the core; however, this time that isn't the case. Don't let the false advertising and bad marketing of previous titles water down the potency of what Landmark and EverQuest Next are claiming to have finally achieved.

This time "Next Gen" is for real, whether you are ready to accept it or not. Yes, the hype is real; and just to be fair, I did warn you with the title. Now this is happening:

Thanks for reading and if you enjoyed the article definitely comment below. If you didn't like it, go away. I'm just kidding, you can comment too; but be warned - I will be tempted to continue trying to help you see the light. It's not too late to fix you. :P 

Last Updated: Mar 18, 2016